**Assignment**
Set down the material underneath from the first line to the one with "0.5336)" verbatim.

**Excerpt**
/*
Computed, not measured: crystalline Tb2SeO2 at its relaxed geometry at the PBE level of DFT.

extended XYZ file:
```
5
Lattice="-1.9268 1.9268 6.1077 1.9268 -1.9268 6.1077 1.9268 1.9268 -6.1077" Properties=species:S:1:pos:R:3 pbc="T T T"
Tb 0.0000 0.0000 4.1998
Tb 0.0000 0.0000 8.0156
Se 0.0000 0.0000 0.0000
O 0.0000 1.9268 3.0539
O 1.9268 0.0000 3.0539
```

Volume ... 18.14 A^3/atom
Total DFT energy (no corrections) ... -7.61 eV/atom
Formation enthalpy at 0 K ... -1616 kJ/mol of formula units
Space-group type ... I4/mmm, No. 139


(1)
Density functional theory data (PBE) for a geometry-optimized Sr10Cu5Bi10O29 structure.

Values from the calculation:
E above lowest polymorph in meV per atom: 401
Formation enthalpy at 0 K in eV per atom: -1.628
MP2020-corrected energy in eV per atom: -5.698
Calculated density in g/cm³: 6.82

abc: 5.4034 13.8841 25.1443
angles: 81.98 83.83 78.78
Closest atoms and distances in Å follow each position.
Space group P1 (No. 1)
One atom of each set of equivalent atoms:
Sr (0.0000, 0.0000, 0.0000)  3 O 2.33-2.60
Sr (0.0033, 0.1911, 0.8062)  3 O 2.42-2.59, 1 Cu 2.68
Sr (0.3564, 0.4105, 0.3542)  3 O 2.36-2.58
Sr (0.3787, 0.2025, 0.5446)  3 O 2.32-2.58
Sr (0.3895, 0.5885, 0.1565)  2 O 2.32-2.34
Sr (0.4227, 0.9770, 0.7375)  2 O 2.21-2.44
Sr (0.4305, 0.5241, 0.5185)  3 O 2.17-2.29
Sr (0.4349, 0.7577, 0.9557)  3 O 2.23-2.49
Sr (0.4396, 0.7434, 0.3003)  2 O 2.19-2.39
Sr (0.4842, 0.2986, 0.7114)  3 O 2.28-2.41
Sr (0.4886, 0.9126, 0.0996)  3 O 2.29-2.37
Sr (0.5148, 0.0906, 0.9018)  3 O 2.30-2.42
Sr (0.8595, 0.3100, 0.4498)  3 O 2.33-2.39
Sr (0.8643, 0.5011, 0.2560)  3 O 2.35-2.40
Sr (0.8984, 0.0903, 0.6391)  3 O 2.23-2.37
Sr (0.9115, 0.6718, 0.0559)  3 O 2.24-2.36
Sr (0.9243, 0.6358, 0.4103)  2 O 2.22-2.24
Sr (0.9270, 0.8653, 0.8457)  2 O 2.19-2.20
Sr (0.9510, 0.4108, 0.6169)  2 O 2.24-2.39
Sr (0.9588, 0.8293, 0.2001)  2 O 2.30-2.34
Cu (0.1305, 0.4268, 0.4837)  4 O 1.87-1.94
Cu (0.1393, 0.6258, 0.2828)  4 O 1.87-1.97
Cu (0.1942, 0.1923, 0.6759)  4 O 1.87-1.95
Cu (0.1998, 0.7930, 0.0767)  4 O 1.86-1.93
Cu (0.2350, 0.9703, 0.8723)  4 O 1.87-1.90
Cu (0.6271, 0.5308, 0.3837)  4 O 1.88-1.93
Cu (0.6631, 0.3088, 0.5801)  4 O 1.87-1.99
Cu (0.6733, 0.7081, 0.1794)  4 O 1.86-1.95
Cu (0.7262, 0.0743, 0.7724)  4 O 1.89-1.99
Cu (0.7294, 0.8753, 0.9732)  4 O 1.87-1.96
Bi (0.0647, 0.5964, 0.6614)  2 O 2.08-2.22
Bi (0.1093, 0.0192, 0.2368)  3 O 2.13-2.32
Bi (0.1417, 0.3696, 0.8571)  2 O 2.14-2.35
Bi (0.1431, 0.1845, 0.0427)  3 O 2.13-2.35
Bi (0.2226, 0.2262, 0.3071)  2 O 2.14-2.36
Bi (0.2390, 0.0244, 0.4949)  3 O 2.16-2.34
Bi (0.2571, 0.3992, 0.1159)  3 O 2.11-2.34
Bi (0.2613, 0.7881, 0.6983)  2 O 2.07-2.13
Bi (0.3567, 0.5765, 0.9050)  1 O 2.08
Bi (0.5848, 0.7130, 0.5578)  3 O 2.12-2.26
Bi (0.6612, 0.4767, 0.7611)  3 O 2.18-2.28
Bi (0.6654, 0.9246, 0.3511)  2 O 2.12-2.24
Bi (0.6667, 0.1019, 0.1402)  3 O 2.14-2.24
Bi (0.6861, 0.1315, 0.3989)  3 O 2.18-2.43
Bi (0.6868, 0.2749, 0.9489)  4 O 2.18-2.44
Bi (0.6891, 0.3166, 0.2133)  3 O 2.19-2.29
Bi (0.7025, 0.9047, 0.5946)  3 O 2.12-2.27
Bi (0.7164, 0.6552, 0.8129)  1 O 2.27
Bi (0.7417, 0.4819, 0.0192)  3 O 2.17-2.21
Bi (0.9957, 0.8392, 0.4457)  1 O 2.11
O (0.0001, 0.0156, 0.8202)  2 Cu 1.88-1.99
O (0.0384, 0.7117, 0.9338)  1 Bi 2.42, 1 Sr 2.49
O (0.0568, 0.9425, 0.3179)  2 Bi 2.18-2.24
O (0.0639, 0.4658, 0.7697)  2 Bi 2.18-2.44
O (0.0764, 0.1049, 0.1282)  2 Bi 2.21-2.30
O (0.0931, 0.2733, 0.9461)  1 Bi 2.18
O (0.2809, 0.1378, 0.3968)  2 Bi 2.18-2.43
O (0.2817, 0.3163, 0.2196)  2 Bi 2.19-2.40
O (0.2880, 0.9390, 0.5785)  2 Bi 2.27-2.28, 1 O 2.51
O (0.3332, 0.4762, 0.0324)  2 Bi 2.21-2.25
O (0.3445, 0.7085, 0.7750)  2 Bi 2.13-2.27
O (0.3719, 0.4855, 0.4358)  2 Cu 1.90-1.93
O (0.3741, 0.4643, 0.6296)  1 Bi 2.39, 1 Sr 2.60
O (0.3736, 0.5808, 0.3358)  2 Cu 1.89
O (0.3853, 0.3707, 0.5336)  2 Cu 1.94-1.99, 1 Sr 2.17
O (0.3908, 0.8836, 0.2084)  1 Bi 2.32
O (0.4076, 0.6667, 0.2313)  2 Cu 1.95
O (0.4283, 0.0509, 0.0101)  1 Bi 2.35, 1 Sr 2.60
O (0.4278, 0.2399, 0.8209)  1 Bi 2.35, 1 Sr 2.59
*/

**Done**
Computed, not measured: crystalline Tb2SeO2 at its relaxed geometry at the PBE level of DFT.

extended XYZ file:
```
5
Lattice="-1.9268 1.9268 6.1077 1.9268 -1.9268 6.1077 1.9268 1.9268 -6.1077" Properties=species:S:1:pos:R:3 pbc="T T T"
Tb 0.0000 0.0000 4.1998
Tb 0.0000 0.0000 8.0156
Se 0.0000 0.0000 0.0000
O 0.0000 1.9268 3.0539
O 1.9268 0.0000 3.0539
```

Volume ... 18.14 A^3/atom
Total DFT energy (no corrections) ... -7.61 eV/atom
Formation enthalpy at 0 K ... -1616 kJ/mol of formula units
Space-group type ... I4/mmm, No. 139


(1)
Density functional theory data (PBE) for a geometry-optimized Sr10Cu5Bi10O29 structure.

Values from the calculation:
E above lowest polymorph in meV per atom: 401
Formation enthalpy at 0 K in eV per atom: -1.628
MP2020-corrected energy in eV per atom: -5.698
Calculated density in g/cm³: 6.82

abc: 5.4034 13.8841 25.1443
angles: 81.98 83.83 78.78
Closest atoms and distances in Å follow each position.
Space group P1 (No. 1)
One atom of each set of equivalent atoms:
Sr (0.0000, 0.0000, 0.0000)  3 O 2.33-2.60
Sr (0.0033, 0.1911, 0.8062)  3 O 2.42-2.59, 1 Cu 2.68
Sr (0.3564, 0.4105, 0.3542)  3 O 2.36-2.58
Sr (0.3787, 0.2025, 0.5446)  3 O 2.32-2.58
Sr (0.3895, 0.5885, 0.1565)  2 O 2.32-2.34
Sr (0.4227, 0.9770, 0.7375)  2 O 2.21-2.44
Sr (0.4305, 0.5241, 0.5185)  3 O 2.17-2.29
Sr (0.4349, 0.7577, 0.9557)  3 O 2.23-2.49
Sr (0.4396, 0.7434, 0.3003)  2 O 2.19-2.39
Sr (0.4842, 0.2986, 0.7114)  3 O 2.28-2.41
Sr (0.4886, 0.9126, 0.0996)  3 O 2.29-2.37
Sr (0.5148, 0.0906, 0.9018)  3 O 2.30-2.42
Sr (0.8595, 0.3100, 0.4498)  3 O 2.33-2.39
Sr (0.8643, 0.5011, 0.2560)  3 O 2.35-2.40
Sr (0.8984, 0.0903, 0.6391)  3 O 2.23-2.37
Sr (0.9115, 0.6718, 0.0559)  3 O 2.24-2.36
Sr (0.9243, 0.6358, 0.4103)  2 O 2.22-2.24
Sr (0.9270, 0.8653, 0.8457)  2 O 2.19-2.20
Sr (0.9510, 0.4108, 0.6169)  2 O 2.24-2.39
Sr (0.9588, 0.8293, 0.2001)  2 O 2.30-2.34
Cu (0.1305, 0.4268, 0.4837)  4 O 1.87-1.94
Cu (0.1393, 0.6258, 0.2828)  4 O 1.87-1.97
Cu (0.1942, 0.1923, 0.6759)  4 O 1.87-1.95
Cu (0.1998, 0.7930, 0.0767)  4 O 1.86-1.93
Cu (0.2350, 0.9703, 0.8723)  4 O 1.87-1.90
Cu (0.6271, 0.5308, 0.3837)  4 O 1.88-1.93
Cu (0.6631, 0.3088, 0.5801)  4 O 1.87-1.99
Cu (0.6733, 0.7081, 0.1794)  4 O 1.86-1.95
Cu (0.7262, 0.0743, 0.7724)  4 O 1.89-1.99
Cu (0.7294, 0.8753, 0.9732)  4 O 1.87-1.96
Bi (0.0647, 0.5964, 0.6614)  2 O 2.08-2.22
Bi (0.1093, 0.0192, 0.2368)  3 O 2.13-2.32
Bi (0.1417, 0.3696, 0.8571)  2 O 2.14-2.35
Bi (0.1431, 0.1845, 0.0427)  3 O 2.13-2.35
Bi (0.2226, 0.2262, 0.3071)  2 O 2.14-2.36
Bi (0.2390, 0.0244, 0.4949)  3 O 2.16-2.34
Bi (0.2571, 0.3992, 0.1159)  3 O 2.11-2.34
Bi (0.2613, 0.7881, 0.6983)  2 O 2.07-2.13
Bi (0.3567, 0.5765, 0.9050)  1 O 2.08
Bi (0.5848, 0.7130, 0.5578)  3 O 2.12-2.26
Bi (0.6612, 0.4767, 0.7611)  3 O 2.18-2.28
Bi (0.6654, 0.9246, 0.3511)  2 O 2.12-2.24
Bi (0.6667, 0.1019, 0.1402)  3 O 2.14-2.24
Bi (0.6861, 0.1315, 0.3989)  3 O 2.18-2.43
Bi (0.6868, 0.2749, 0.9489)  4 O 2.18-2.44
Bi (0.6891, 0.3166, 0.2133)  3 O 2.19-2.29
Bi (0.7025, 0.9047, 0.5946)  3 O 2.12-2.27
Bi (0.7164, 0.6552, 0.8129)  1 O 2.27
Bi (0.7417, 0.4819, 0.0192)  3 O 2.17-2.21
Bi (0.9957, 0.8392, 0.4457)  1 O 2.11
O (0.0001, 0.0156, 0.8202)  2 Cu 1.88-1.99
O (0.0384, 0.7117, 0.9338)  1 Bi 2.42, 1 Sr 2.49
O (0.0568, 0.9425, 0.3179)  2 Bi 2.18-2.24
O (0.0639, 0.4658, 0.7697)  2 Bi 2.18-2.44
O (0.0764, 0.1049, 0.1282)  2 Bi 2.21-2.30
O (0.0931, 0.2733, 0.9461)  1 Bi 2.18
O (0.2809, 0.1378, 0.3968)  2 Bi 2.18-2.43
O (0.2817, 0.3163, 0.2196)  2 Bi 2.19-2.40
O (0.2880, 0.9390, 0.5785)  2 Bi 2.27-2.28, 1 O 2.51
O (0.3332, 0.4762, 0.0324)  2 Bi 2.21-2.25
O (0.3445, 0.7085, 0.7750)  2 Bi 2.13-2.27
O (0.3719, 0.4855, 0.4358)  2 Cu 1.90-1.93
O (0.3741, 0.4643, 0.6296)  1 Bi 2.39, 1 Sr 2.60
O (0.3736, 0.5808, 0.3358)  2 Cu 1.89
O (0.3853, 0.3707, 0.5336)  2 Cu 1.94-1.99, 1 Sr 2.17